Sunday, November 24, 2013

Amy Grant - Saved By Love [live]

    • Over 30 million albums sold worldwide, including 1 Quintuple Platinum album, 1 Triple Platinum, and 1 Double Platinum album, as well as additional 4 Platinum and 6 Gold albums.
      • (2013) How Mercy Looks From Here
      • (2010) Somewhere Down The Road
      • (2008) The Christmas Collection
      • (2008) Lead Me On 20th Anniversary Edition
      • (2007) Greatest Hits
      • (2006) Time Again…Amy Grant Live
      • (2005) Rock of Ages…Hymns & Faith
      • (2004) Greatest Hits 1986 — 2004
      • (2003) Simple Things
      • (2002) (GOLD) Legacy…Hymns & Faith
      • (1999) (GOLD) A Christmas To Remember
      • (1997) (GOLD) Behind the Eyes
      • (1994) (2xs PLATINUM) House of Love
      • (1992) (3xs PLATINUM) Home For Christmas
      • (1991) (5xs PLATINUM) Heart In Motion
      • (1988) (GOLD) Lead Me On
      • (1986) (PLATINUM) The Collection
      • (1985) (PLATINUM) Unguarded
      • (1984) (GOLD) Straight Ahead
      • (1983) (PLATINUM) A Christmas Album
      • (1982) (PLATINUM) Age To Age
      • (1981) Amy Grant “In Concert. Vol. II”
      • (1981) Amy Grant “In Concert”
      • (198O) Never Alone
      • (1979) (GOLD)  Father’s Eyes
      • (1977) (GOLD) Amy Grant

    • “Simple Things” (2003)
    • “Takes a Little Time” (1997)
    • “Things We Do For Love” (1996)
    • “Say You’ll Be Mine” (1994)
    • “House of Love” (1994)
    • “House of Love” (With footage from the motion picture, Speechless) (1994)
    • “Big Yellow Taxi” (1994)
    • “Lucky One” (1994)
    • “Grown-Up Christmas List” (1992)
    • “I Will Remember You” (1992)
    • “Good For Me” (1992)
    • “That’s What Love Is For” (1991)
    • “Every Heartbeat” (1991)
    • “Baby Baby” (1991)
    • “Lead Me On” (1989)
    • “Stay For Awhile” (1989)
    • “Next Time I Fall” (1988)
    • “Wise Up” (1986)
    • “Find A Way” (1986)
    • “It’s Not A Song” (1985)
    • “Angels” (1985)

    TELEVISION APPEARANCES: (partial list only)
    • Three Wishes on NBC (Host)
    • Oprah
    • Good Morning America
    • The Today Show
    • CBS This Morning
    • The Tonight Show with Jay Leno
    • Late Night with David Letterman
    • Late Night with Bob Costas
    • Larry King Live
    • Live With Regis and Kathie Lee
    • The Tonight Show with Johnny Carson
    • The Phil Donahue Show
    • Arsenio Hall
    • The Grammy Awards
    • The American Music Awards
    • Entertainment Tonight
    • Christmas In Washington
    • The Patti LaBelle Special
    • The Prince’s Trust Concert
    • Tribute to Martin Luther King, Jr.
    • Amy Grant: Headin’ Home for the Holidays
    • CBS: A Christmas To Remember
    • ABC: Christmas with the Stars
    • Lifetime Television Special
    • “Women Rock!: Girls & Guitars”

    • Time Again…Amy Grant Live DVD (2006)
    • Building the House of Love (1994)
    • Amy Grant’s Old Fashioned Christmas (1992) (GOLD)
    • Heart In Motion (1992) (GOLD)
    • Find A Way Video (1986)
    • “In Concert” The Age to Age Tour (1983)
    • A Song From the Heart (1999) CBS “Movie of the Week” (Starring Amy Grant, Keith Carradine, and D.W. Moffett)

    • 1994 — Nomination — Children Spoken Word — Lion & the Lamb
    • 1992 — Nomination — Album of the Year — Heart in Motion
    • 1992 — Nomination — Song of the Year — Baby Baby
    • 1992 — Nomination — Record of the Year — Baby Baby
    • 1992 — Nomination — Pop Performance Female — Baby Baby
    • 2006 — Award — Best Southern, Country, or Bluegrass Gospel Album — Rock of Ages…Hymns & Faith
    • 1988 — Award — Best Contemporary Album — Lead Me On
    • 1986 — Award — Best Gospel Performance – Unguarded
    • 1985 — Award — Best Gospel Performance – Angels
    • 1984 — Award — Best Gospel Performance — Ageless Medley
    • 1983 — Award — Best Contemporary Album — Age to Age

    • 26 Dove Awards — Including 4 Time Artist of the Year
    • 2007    Authored and published the book Mosaic: Pieces of My Life So Far (Random House)
    • 2006    Inducted into the Hollywood Walk of Fame — Hollywood, CA
    • 2003    Inducted into the Gospel Music Association Hall of Fame
    • 2003    Seminar in the Rockies Summit Award
    • 2001    ”Nashvillian of the Year”
    • 1999    The Nashville Chamber of Commerce, Nashville Symphony and Tennessee Performing Arts Center: “An Evening with the Arts” Honoring Grant’s Contributions to the Nashville Performing Arts Community
    • 1999    The Target House — The Amy Grant Rose
    • 1996    TNN Awards — Sarah Cannon Humanitarian Award
    • 1996    Columbia Hospital — Minnie Pearl Humanitarian Award
    • 1996 ASCAP Award — Voice of America
    • 1996    Academy of Achievement — Golden Plate Award
    • 1994    St. John University — Pax Christi Award
    • 1994    Nashville Symphony — Harmony Award
    • 1992    Junior Chamber of Commerce — Outstanding Tennessean
    • 1992    Nomination — American Music Awards — Best Rock/Pop Performance by a Female
    • 1992    Nomination — MTV Awards — “Baby Baby” Video

    • # 1 “Baby Baby”
    • # 1 “Every Heartbeat”
    • # 1 “That’s What Love Is For”
    • # 1 “I Will Remember You”
    • # 1 “Lucky One”
    • # 1 “Next Time I Fall”

    TOP 5
    • “Good For Me”
    • Top 5 “House of Love”
    • Top 5 “Takes A Little Time”
    • Top 5 “Like I Love You”
    • Top 10 “Big Yellow Taxi”
    • Top 10 “I Will Be Your Friend” On the
    • 1991 Year End

    Saturday, November 23, 2013

    A Blessed Man, 'Tis I

    I am a blessed man...

    To have two fathers in heaven who love me 
    - my heavenly Father and my Dad.

    To have a Savior who has forgiven me of my sins, 
    and loves all as no other can.

    For having my Mom for over 59 years now, 
    who cheers me on. And with Bill too.

    To have a good wife for 36 years, and counting.
    My helpmate through and through.

    For my four adult children, their spouses, 
    and our six grandchildren... 
    whom they are now raising
     in a godly manner.

    For having many brothers and sisters too. 
    One right after another!

    Giving thanks for Laurie's Mom Lorraine, 
    and good sister Linda.
    And remembering Otto, my father-in-law, 
    a godly man, what a wonder.

    I am a blessed man, 
    to have faithful friends 
    who stand with you, 
    while others have 
    come and gone.

    Such as these, Peter & Joy Wyns,
    who held us up in transition times, 
    when ministry desires seemed thin.

    For worldwide bonds 
    in Israel, 
    Canada, the UK; 
    and even far beyond.

    Daily I see His 
    purposes and plans 
    being worked out here. 
    Accomplished they are!

    For these I give thanks 
    to the Lord on High;
    A blessed man, 'tis I.


    Steve Martin
    Nov. 23, 2013

    And for our pet Dachshund Zoe, 
    who loves her daddy too!

    "“Expectations & Hope” - Ahava Love Letter (Steve Martin)

           “Expectations & Hope” 

     “It all accords with my earnest expectation and hope that I will have nothing to be ashamed of; but rather, now, as always, the Messiah will be honored by my body, whether it is alive or dead. For to me, life is the Messiah…” (Phil. 1:20-21, CJB Complete Jewish Bible)

    Dear family of friends,

    On the early morning during my time with the Lord, on my 59th birthday Nov. 23, 2013, I was again thinking of the enormous thanksgiving that was welling up in my heart the past few days. It was the same sense I get when the Lord is wanting to use me to express a prophetic word - that moment when my heart beats faster, my stomach starts to whirl, and I know His Holy Spirit, Ruach HaKodesh (Hebrew) is moving. Usually I just get a word or two, and know He wants me to step out in faith, trusting He will give me more as I obey His prompting.

    It is when He says to my spirit, “Speak, for I am giving you something to say right now.” Or in this case, to write now.

    This time He again just gave me two words - expectations and hope. And so I started to write this Ahava Love Letter, believing more would come as I wrote.

    Expectations can really give us hope, for something exciting to happen, or believing a turn is coming in the road ahead that will bring a better situation in our life. Expectations can last a day, or even a lifetime. They can give us something good to look forward to, as we walk through the daily life we have.

    Or they can result in a crash when the event or desire we are seeking to bring fulfillment doesn’t come about as we had hoped. That particular thing we were looking to falls below our anticipated expectation, and disappointment results. By God’s grace we can get over it quickly and move on. Other times it will cripple us and wound our spirit more than we even realize, even for the long term.

    You and I both know that there have been many times when we were expecting someone to do something on our behalf, or a big event was to occur, but the end result was far short of what we had thought it would be. We had “high hopes”, but then felt the sting of another “it happened again as I really thought it would” which we had secretly considered.

    I can look back at previous expectations and hopes, and believe I have learned a thing or two to share with you. When I stop and think about what my hope and expectation was founded on, there is indeed a lesson taught. I realized that when my hope was on something temporary, or in someone who really didn’t have the capacity to fulfill it, the glitter and glory was just a shadow. We experienced the failure, because the capacity to fulfill the hope wasn’t there to begin with. When that which we hope in is less then what it could be, then disappointment always happens.

    By this time you may know where I am going with this.

    It is great to dream, to expect, to hope for a better future. We are meant to be that type of people, who look forward to a better tomorrow. That is something the Lord puts in our hearts, to help in our motivations, to keep us pushing forward, to reach the mark set before us by our Father.

    I have come to the point now that I regularly declare, “My times are in Your hands.” (Psalm 31:15) Putting my trust in His purposes and plans has given me a strong foundation on which to place my expectations and hopes. He is strong. He is able. He is the One who will never fail us or lack in His ability to fulfill His promises. Because He is God, and because only He can.

    Days are ahead, and actually here now, when our need to depend on Him for all things will greatly be tested. If our hopes and expectations are put on that which can and will crumble, our faith will fail us and we will lose our way. IF we keep our eyes fixed on Jesus (Yeshua), the Author and Finisher of our faith, we will be able to stand, have our hopes fulfilled, and see desired expectations completed.

(Between two parts of the entry: quantum chemistry results)
-- begin --
Here is a structure of composition C26H19N5O3ReSbSe4 from the OMol25 dataset. Energies are from ωB97M-V/def2-TZVPD.

Results
E_LUMO	-8.3	eV
electronic energy	-310904.045	eV
net charge	+2
relative energy (zero: lowest compared OMol25 entry of this formula, charge and spin)	0.326	eV
2S+1	1

Atoms and positions in Å:
Re: -1.534 0.636 -2.404
O: -1.913 3.885 2.120
C: -2.909 2.999 2.170
C: -3.741 3.042 3.290
C: -4.782 2.153 3.411
C: -5.037 1.188 2.425
C: -4.230 1.131 1.322
C: -3.149 2.028 1.171
C: -2.308 1.941 0.015
O: -2.596 0.954 -0.882
N: -1.308 2.725 -0.237
N: -0.685 2.378 -1.422
C: 0.319 3.089 -1.780
C: 1.101 2.839 -2.978
C: 2.121 3.722 -3.320
C: 2.903 3.497 -4.445
C: 2.682 2.379 -5.232
C: 1.675 1.475 -4.907
C: 0.899 1.722 -3.795
O: -0.101 0.825 -3.500
H: -1.392 3.774 1.307
H: -3.539 3.789 4.045
H: -5.418 2.202 4.285
H: -5.864 0.503 2.535
H: -4.418 0.400 0.547
H: 0.599 3.919 -1.137
H: 2.297 4.592 -2.698
H: 3.688 4.194 -4.703
H: 3.295 2.201 -6.105
H: 1.490 0.593 -5.506
Se: -4.125 -1.477 -4.653
Sb: -4.039 0.858 -5.430
Se: -2.942 2.253 -3.727
Se: -2.422 -1.461 -3.016
Se: -4.770 1.426 -7.522
N: 3.229 -2.927 1.909
C: 3.498 -3.744 2.983
C: 4.692 -4.222 3.523
C: 4.575 -5.037 4.625
C: 3.321 -5.372 5.180
C: 2.149 -4.901 4.644
C: 2.243 -4.069 3.520
N: 1.247 -3.466 2.790
C: 1.865 -2.799 1.848
C: 1.145 -2.019 0.859
C: -0.254 -2.006 0.903
C: -0.957 -1.278 -0.021
N: -0.355 -0.554 -0.991
C: 0.990 -0.559 -1.038
C: 1.759 -1.270 -0.147
H: 3.913 -2.530 1.291
H: 5.657 -3.973 3.103
H: 5.470 -5.435 5.083
H: 3.292 -6.018 6.046
H: 1.184 -5.156 5.061
H: -0.768 -2.574 1.664
H: -2.037 -1.250 -0.001
H: 1.460 0.017 -1.821
H: 2.833 -1.231 -0.260

Results of the Mulliken charge analysis, in e, for atoms 1 through 8: 1.144 -0.593 0.351 -0.701 -0.380 -0.933 -0.412 0.274

* * * * *

The following is a DFT calculation (the ωB97M-V functional and the def2-TZVPD basis) of a cluster of 6 separate species, C39H44O2Si in total at a distorted geometry.

Values from the calculation:
* Kohn-Sham gap: 9.429 eV
* SMILES string: C#C[C@H]1CC(=O)O[C@@H]1[Si](C)(C)C.c1ccccc1.c1ccccc1.c1ccccc1.c1ccccc1.c1ccccc1
* M: 572.865 g/mol

Structure (ORCA input):
```
! wB97M-V def2-TZVPD RIJCOSX def2/J DEFGRID3
* xyz 0 1
C -0.39 1.97 5.89
C -0.10 3.18 5.42
C -0.23 4.78 5.13
C 1.18 5.48 4.73
C 0.88 5.72 3.14
O 1.70 5.64 2.17
O -0.56 6.01 3.10
C -1.16 4.86 3.80
Si -3.01 4.97 4.33
C -3.69 6.76 4.50
C -4.08 3.99 3.07
C -3.28 4.14 6.08
H -0.74 0.97 6.36
H -0.72 5.38 5.98
H 1.17 6.57 5.11
H 2.12 4.90 5.04
H -1.06 4.01 3.03
H -4.71 6.79 3.95
H -3.91 7.04 5.61
H -3.00 7.59 4.09
H -4.64 3.15 3.65
H -3.39 3.58 2.25
H -4.83 4.71 2.54
H -2.64 4.70 6.87
H -3.00 3.01 6.02
H -4.38 4.27 6.41
C 4.38 2.44 -1.47
C 5.73 2.65 -1.20
C 6.11 3.52 -0.18
C 5.13 4.18 0.56
C 3.78 3.98 0.28
C 3.41 3.11 -0.73
H 4.09 1.76 -2.26
H 6.49 2.14 -1.78
H 7.16 3.68 0.04
H 5.43 4.86 1.36
H 3.03 4.50 0.86
H 2.36 2.95 -0.95
C 0.62 -0.65 -3.74
C 0.31 -1.99 -3.55
C 0.87 -2.69 -2.48
C 1.73 -2.03 -1.60
C 2.04 -0.69 -1.79
C 1.48 0.00 -2.86
-- stop --

    My trust is in Him. I hope yours is today also, and grows stronger in each forth coming day.

    Ahava to my family of friends,

    Steve Martin
    Love For His People

    Love For His People, Inc. is a charitable, not-for-profit USA organization. Fed. ID#27-1633858.

    Please consider sending a charitable gift of $5-$25 today, and maybe each month, to help us bless the known families in Israel, whom we consistently help through our humanitarian ministry. 

    Your tax deductible contributions receive a receipt for each donation.

What comes next are records of molecules, not part of the page =
-- begin --
27
Properties=species:S:1:pos:R:3:forces:R:3 method="wB97M-V/def2-TZVPD" homo_energy_ev=-13.4 orbital_gap_ev=9.29 charge=+1 lumo_ev=-4.1 spin_multiplicity=1 relative_energy_kcal_mol=72.6
N -1.981 0.298 -0.202 1.2596 2.2916 -2.3340
C -0.569 0.111 0.063 1.4666 2.3215 -0.2550
C -0.066 -1.336 -0.075 -0.1983 3.5982 -2.1410
C 1.437 -1.476 -0.269 0.2575 -1.8060 3.9318
C 1.194 -1.956 -1.606 3.9571 -1.6585 -5.7776
C -0.278 -1.838 -1.569 -0.0488 -0.5795 2.8033
N 0.150 1.198 -1.138 -0.4766 -1.9690 2.2028
C 1.114 1.928 -0.704 -3.0449 0.2075 0.2620
N 1.609 1.926 0.586 2.4995 0.2259 -0.5805
C 1.102 1.369 1.566 -2.7226 -0.4296 -0.3394
C -0.365 0.807 1.496 1.6279 -1.6662 0.7462
N -1.456 1.778 1.690 -0.6312 2.9115 0.5708
H -2.061 0.598 -1.193 -0.0234 -0.0697 0.7366
H -2.460 -0.539 -0.162 -1.3723 -2.1951 0.4656
H -0.491 -1.871 0.692 -1.1091 -1.5566 1.7156
H 1.883 -2.192 0.477 -0.3960 0.3442 -0.8460
H 1.995 -0.609 -0.117 0.8740 1.5655 -0.1845
H 1.705 -1.249 -2.395 -1.0147 -1.4361 1.2289
H 1.564 -3.038 -1.885 -0.5135 2.1091 0.6721
H -0.676 -1.123 -2.224 -0.9522 0.6201 -0.9083
H -0.734 -2.801 -1.493 -0.8042 -0.4236 -0.7194
H 1.423 2.786 -1.285 0.4320 -0.2513 -0.4887
H 1.690 1.220 2.430 0.3741 -0.0213 1.1804
H -0.472 0.103 2.363 0.1824 0.1266 -1.1077
H -2.021 1.494 0.745 -0.3296 -0.0848 0.7733
H -2.096 1.567 2.545 1.6283 0.7215 -1.8957
H -1.139 2.845 1.666 -0.9218 -2.8956 0.2882

~~~~~

Entry 1:
DFT (ωB97M-V with the def2-TZVPD basis set) results for one molecule with the formula C4H6F2S in a non-equilibrium geometry.

XYZ file:
```
13
Properties=species:S:1:pos:R:3
F 1.53 1.60 0.27
C 0.42 1.38 -0.53
C -0.21 0.09 0.07
S -2.07 0.03 -0.01
C 0.50 -0.66 1.27
C 0.46 -1.27 -0.12
F 1.48 -1.40 -0.75
H 0.73 1.22 -1.65
H -0.55 2.09 -0.14
H -2.19 0.32 -1.33
H -0.06 -1.04 2.34
H 1.52 -0.18 1.31
H -0.45 -1.96 -0.20
```

Structure (SMILES): FC[C@]1(S)C[C@@H]1F
Spin multiplicity: 1
E_HOMO: -9.28 eV
LUMO level: 0.74 eV
Calculated total energy: -20511.68535 eV
Molar mass: 124.16 u
ΔE to the lowest compared entry with this formula, charge and spin: 75.23 kcal/mol

Atomic partial charges in e from the natural (NBO) method, atoms 1 to 5: -0.37, 0.01, -0.24, -0.03, -0.47

=====

Entry 2:
DFT (ωB97M-V with the def2-TZVPD basis set) results for one molecule with the formula C4H6F3N in a non-equilibrium geometry.

XYZ file:
```
14
Properties=species:S:1:pos:R:3
N 1.01 -1.39 1.01
C 0.16 -0.75 0.08
C 0.63 0.49 -0.85
F 0.64 0.40 -2.28
C -0.70 1.06 -0.50
F -1.49 0.75 -1.72
C -0.86 0.19 0.55
F -2.12 -0.41 0.62
H 1.79 -1.91 0.58
H 1.23 -0.63 1.97
H -0.31 -1.51 -0.42
H 1.36 1.10 -0.47
H -0.71 2.05 -0.22
H -0.63 0.56 1.65
```

Structure (SMILES): N[C@@H]1[C@@H](F)[C@@H](F)[C@H]1F
Spin multiplicity: 1
E_HOMO: -9.60 eV
LUMO level: 0.62 eV
Calculated total energy: -13884.07506 eV
Molar mass: 125.09 u
ΔE to the lowest compared entry with this formula, charge and spin: 70.00 kcal/mol

Atomic partial charges in e from the natural (NBO) method, atoms 1 to 5: -0.82, -0.11, 0.16, -0.34, 0.12

=====
-- stop --

    Go here for safe ONLINE GIFT GIVING THROUGH  OUR WEBSITE using major credit cards: Love For His People

    If you don't have a PayPal account you can also use your credit card or bank account (where available). 

    Contribution checks can be sent to: 
    Love For His People, Inc.  P.O. Box 414   Pineville, NC 28134
    Todah rabah! (Hebrew - Thank you very much.)
    Be sure to get my two books The Promise (CreateSpace/Amazon 2013) and Ahava Love Letters (Xulon Press, 2013). Both available through Xulon , plus other website book stores.
    You can also order both books, The Promise (on for $7.19 plus $3.95 S/H) and Ahava Love Letters Xulon Press for $14.90, plus $3.80) or you can get both from our office for $29. Send check to the address above. I will autograph all copies ordered through our office. (Hey, and please include a contribution for Israel too!)
    Please share this Ahava Love Letter with your friends.


    Facebook pages: Steve Martin  and  Love For His People  
    Twitter: martinlighthous, LovingHisPeople and ahavaloveletter 

                Ahava Love Letters
    Full website: Love For His People

    Ahava Love Letter #88   “Expectations & Hope”  ©2013 Steve Martin 
    Date: In the year of our Lord 2013 (11/23/13 Saturday at 7:30 am in Charlotte, NC). The day of my 59th birthday!!!

    All previous editions of Ahava Love Letter can be found on this Blog, and our newest website: Ahava Love Letters

    Friday, November 22, 2013

    Jerusalem Old City streets at night...

    Published on Nov 16, 2013
    As part of our Love For His People "Ahava Adventrures" trip, my son Ben and I walked to the Western Wall on a Monday night on Nov. 4, 2013.Beautiful night! And safe!

    Come along, as we head to the Kotel (Western Wall) and record along the way.

    Videos filmed and shared by Steve Martin - to give appreciation to and love for those we support, through Love For His People, Inc.

    You can help Love For His People in a free, simple way.

    Make the holidays even more 

    special for Love For His People, Inc.

    Editor's Note: I use this free 
    way to earn donation money 
    for the ministry all the time. 
    It works and is real 
    simple to use! 
    Steve Martin


    Even people who don't shop often shop online this time of year.  
    Like you, they probably want to make sure Shopping = Giving at 
    stores like Amazon, jcpenney, Macys, Nordstrom, and lots, lots more.  
    Asking them to help is as simple as forwarding this email.  As always, 
    it's completely free, all costs are paid for by the stores. Over 1,000 of
     the greatest stores participate.

    Now is the moment for maximum help for Love For His People, Inc..  
    That's why we're giving Love For His People, Inc. an extra $5 for 
    every new member that tries the iGive Button, even if they don't 
    end up shopping.

    Share now by forwarding this email, posting on Facebook, 
    or even tweeting.  

    Here's the special link you must use: 

    $5 Free for evey new member who tries iGive before Cyber Monday

    The optional iGive Button makes it really, really simple

    It automatically makes sure that a portion of your purchases 
    at over 1,000 stores means a free donation to the cause of 
    your choice.  Shopping = Giving year 'round.  The Button makes 
    sure every purchase counts, even if you forget.  Use an iPad or 
    iPhone? It's very easy to help - just visit and start 
    your shopping there!

    Robert Grosshandler

    Hope you sign up to help 
    Love for His People, Inc.! 
    Click here to consider:

    Time to Accept Messianic Jews?

    Israelis Ask: Time to Accept Messianic Jews?

    Friday, November 22, 2013 |  Israel Today Staff  
    At least two Israeli news agencies on Thursday ran the same story wondering whether it was time for the mainstream Jewish community to finally accept Messianic Jews as a legitimate and vital part of the tribe.
    The article by the Jewish Telegraphic Agency (JTA) highlighted former US President George W. Bush's recent keynote address at the annual conference of the Messianic Jewish Bible Institute in Dallas.
    Mainstream American Jewish groups were incredulous that Bush would provide such legitimacy to a movement they view as a deceitful ploy to convert Jews away from Judaism.
    But Messianic Jewish leaders told the JTA that while the "gatekeepers" of mainstream Judaism are often "overzealous" in their approach to Jewish believers in Yeshua (Jesus), most average Jews are welcoming.
    Indeed, Israel Today has noticed much the same in our reporting from the Jewish state over the past decade. As mainstream Orthodox Jewish leaders become more vocal in their opposition to the Messianic community, mainstream Israeli society has actually become far more accepting.
    Two years ago, Israel's government-controlled Channel One News broadcast a special segment that harshly criticized anti-missionary Orthodox groups for harassing Messianic Jews.
    Want more news from Israel?
    Click Here to sign up for our FREE daily email updates